Data
- - -
A relaxed structure of SmSnRh2, computed with r²SCAN.

abc: 6.688 6.688 6.688
angles: 90.00 90.00 90.00
Space group Fm-3m (No. 225)
Unique sites:
Sm 0.000 0.000 0.000 (multiplicity 4)
Sn 0.000 0.000 0.500 (multiplicity 4)
Rh 0.250 0.250 0.250 (multiplicity 8)


A relaxed structure of Tb3AlC, computed with r²SCAN.

abc: 4.903 4.903 4.903
angles: 90.00 90.00 90.00
Space group Pm-3m (No. 221)
Unique sites:
Tb 0.000 0.000 0.500 (multiplicity 3)
Al 0.500 0.500 0.500 (multiplicity 1)
C 0.000 0.000 0.000 (multiplicity 1)


A relaxed structure of YbS2, computed with r²SCAN.

abc: 3.796 3.796 7.804
angles: 90.00 90.00 90.00
Space group P4/nmm (No. 129, origin choice 2)
Unique sites:
Yb 0.250 0.250 0.227 (multiplicity 2)
S 0.250 0.250 0.869 (multiplicity 2)
S 0.250 0.750 0.500 (multiplicity 2)


A relaxed structure of GdF3, computed with r²SCAN.

abc: 5.598 5.598 5.598
angles: 90.00 90.00 90.00
- - -
Brief
Retype all of the material further up without altering anything.
Outcome
A relaxed structure of SmSnRh2, computed with r²SCAN.

abc: 6.688 6.688 6.688
angles: 90.00 90.00 90.00
Space group Fm-3m (No. 225)
Unique sites:
Sm 0.000 0.000 0.000 (multiplicity 4)
Sn 0.000 0.000 0.500 (multiplicity 4)
Rh 0.250 0.250 0.250 (multiplicity 8)


A relaxed structure of Tb3AlC, computed with r²SCAN.

abc: 4.903 4.903 4.903
angles: 90.00 90.00 90.00
Space group Pm-3m (No. 221)
Unique sites:
Tb 0.000 0.000 0.500 (multiplicity 3)
Al 0.500 0.500 0.500 (multiplicity 1)
C 0.000 0.000 0.000 (multiplicity 1)


A relaxed structure of YbS2, computed with r²SCAN.

abc: 3.796 3.796 7.804
angles: 90.00 90.00 90.00
Space group P4/nmm (No. 129, origin choice 2)
Unique sites:
Yb 0.250 0.250 0.227 (multiplicity 2)
S 0.250 0.250 0.869 (multiplicity 2)
S 0.250 0.750 0.500 (multiplicity 2)


A relaxed structure of GdF3, computed with r²SCAN.

abc: 5.598 5.598 5.598
angles: 90.00 90.00 90.00